Listing:
No. 1
Na10Sc4Si7Ge4S5O48: relaxed, GGA-PBE.

Cell lengths 9.006, 15.324, 22.296 Å; angles 86.80, 89.99, 89.85 degrees
Space group P1 (No. 1)
Asymmetric unit:
Na  0.000  0.000  0.000
Na  0.000  0.334  0.331
Na  0.002  0.666  0.663
Na  0.129  0.824  0.585
Na  0.136  0.488  0.250
Na  0.142  0.158  0.419
Na  0.145  0.476  0.753
Na  0.146  0.821  0.090
Na  0.147  0.165  0.921
Na  0.275  0.001  0.495
Na  0.314  0.647  0.841
Na  0.316  0.314  0.507
Na  0.321  0.008  0.838
Na  0.448  0.841  0.671
Na  0.449  0.506  0.338
Na  0.453  0.813  0.010
Na  0.455  0.479  0.672
Na  0.500  0.500  0.000
Na  0.618  0.984  0.254
Na  0.637  0.656  0.423
Na  0.639  0.322  0.584
Na  0.646  0.321  0.090
Na  0.648  0.664  0.920
Na  0.655  0.985  0.754
Na  0.815  0.148  0.843
Na  0.817  0.813  0.507
Na  0.822  0.510  0.838
Na  0.948  0.009  0.337
Na  0.954  0.314  0.010
Na  0.957  0.647  0.343
Sc  0.127  0.835  0.732
Sc  0.128  0.161  0.067
Sc  0.136  0.497  0.401
Sc  0.138  0.494  0.899
Sc  0.142  0.164  0.564
Sc  0.146  0.837  0.232
Sc  0.627  0.662  0.067
Sc  0.628  0.999  0.397
Sc  0.629  0.331  0.733
Sc  0.637  0.660  0.565
Sc  0.637  0.994  0.900
Sc  0.645  0.335  0.233
Si  0.000  0.643  0.500
Si  0.266  0.641  0.002
Si  0.274  0.309  0.666
Si  0.278  0.976  0.334
Si  0.341  0.662  0.668
Si  0.341  0.998  0.000
Si  0.345  0.327  0.335
Si  0.432  0.829  0.833
Si  0.435  0.497  0.500
Si  0.496  0.475  0.834
Si  0.496  0.812  0.166
Si  0.505  0.142  0.503
Si  0.766  0.141  0.002
Si  0.774  0.810  0.666
Si  0.775  0.476  0.335
Si  0.840  0.829  0.333
Si  0.841  0.498  0.000
Si  0.931  0.329  0.834
Si  0.932  0.998  0.498
Si  0.994  0.976  0.835
Si  0.997  0.311  0.167
Ge  0.100  0.835  0.438
Ge  0.104  0.497  0.103
Ge  0.118  0.172  0.774
Ge  0.167  0.171  0.273
Ge  0.168  0.835  0.939
Ge  0.169  0.501  0.603
Ge  0.600  0.671  0.772
Ge  0.603  0.336  0.440
Ge  0.606  0.997  0.103
Ge  0.649  0.674  0.275
Ge  0.668  0.997  0.600
Ge  0.670  0.335  0.939
S  0.290  0.350  0.005
S  0.291  0.019  0.672
S  0.291  0.687  0.336
S  0.429  0.159  0.169
S  0.478  0.517  0.171
S  0.481  0.186  0.838
S  0.484  0.852  0.505
S  0.785  0.187  0.337
S  0.791  0.516  0.672
S  0.791  0.850  0.005
S  0.844  0.158  0.670
S  0.928  0.659  0.170
S  0.976  0.017  0.171
S  0.979  0.353  0.504
S  0.983  0.687  0.837
O  0.016  0.066  0.224
O  0.016  0.405  0.556
O  0.017  0.739  0.889
O  0.020  0.576  0.167
O  0.023  0.918  0.779
O  0.025  0.735  0.173
O  0.026  0.589  0.442
O  0.029  0.236  0.831
O  0.031  0.414  0.839
O  0.033  0.905  0.498
O  0.035  0.259  0.107
O  0.039  0.059  0.114
O  0.043  0.928  0.172
O  0.045  0.389  0.447
O  0.046  0.725  0.780
O  0.047  0.076  0.507
O  0.049  0.264  0.510
O  0.056  0.599  0.841
O  0.072  0.592  0.564
O  0.076  0.259  0.229
O  0.079  0.930  0.897
O  0.083  0.410  0.162
O  0.086  0.074  0.826
O  0.088  0.741  0.494
O  0.182  0.073  0.325
O  0.186  0.740  0.994
O  0.190  0.930  0.397
O  0.191  0.408  0.660
O  0.191  0.588  0.063
O  0.197  0.257  0.728
O  0.220  0.388  0.949
O  0.223  0.597  0.340
O  0.224  0.931  0.672
O  0.225  0.077  0.007
O  0.225  0.262  0.010
O  0.227  0.726  0.280
O  0.230  0.062  0.616
O  0.230  0.745  0.673
O  0.231  0.410  0.339
O  0.237  0.238  0.331
O  0.239  0.904  0.998
O  0.240  0.571  0.664
O  0.244  0.256  0.608
O  0.247  0.919  0.278
O  0.252  0.068  0.726
O  0.254  0.583  0.944
O  0.260  0.405  0.057
O  0.262  0.736  0.389
O  0.314  0.511  0.168
O  0.317  0.173  0.833
O  0.319  0.823  0.172
O  0.321  0.496  0.841
O  0.322  0.846  0.501
O  0.326  0.158  0.511
O  0.329  0.840  0.775
O  0.330  0.808  0.896
O  0.331  0.474  0.562
O  0.332  0.169  0.116
O  0.334  0.504  0.440
O  0.338  0.142  0.226
O  0.436  0.007  0.939
O  0.436  0.310  0.400
O  0.436  0.639  0.733
O  0.445  0.658  0.010
O  0.449  0.972  0.059
O  0.451  0.994  0.342
O  0.452  0.326  0.673
O  0.453  0.345  0.999
O  0.454  0.009  0.669
O  0.456  0.343  0.280
O  0.456  0.677  0.615
O  0.457  0.673  0.331
O  0.511  0.237  0.890

Assignment:
What is needed: give back the lines above from the one with "0.066" to the one with "0.114" verbatim.

Here it is:
O  0.016  0.066  0.224
O  0.016  0.405  0.556
O  0.017  0.739  0.889
O  0.020  0.576  0.167
O  0.023  0.918  0.779
O  0.025  0.735  0.173
O  0.026  0.589  0.442
O  0.029  0.236  0.831
O  0.031  0.414  0.839
O  0.033  0.905  0.498
O  0.035  0.259  0.107
O  0.039  0.059  0.114